21st May 2005

Siu Mun: grain filling; Princess and the pea; Obligatory spooky stuff; Distractions; Cycles of change II; Ending Hunger..

Richard Ashworth

Feng Shui Diaries

Siu Mun: Grain Filling

Attached: molecular data.
[1]
C5H12O2 | wB97M-V/def2-TZVPD

## Properties
Gap between HOMO and LUMO = 9.4160 eV
E_LUMO = 0.56 eV

The geometry in XYZ format:
```
19
Properties=species:S:1:pos:R:3:forces:R:3
C 1.691292 -1.283067 -0.149529 0.7 0.0 1.4
C 0.443548 -1.299391 -0.602053 0.0 -1.6 -1.0
C -0.269844 -0.387892 -1.526008 -0.1 0.4 2.3
C -0.744505 0.797980 -1.110635 1.0 -0.1 -1.6
C -1.060597 1.851923 -2.109581 -1.3 0.2 -1.3
H 2.081651 -2.069183 0.488916 -0.6 -0.8 -0.3
H 2.453864 -0.538129 0.033236 -0.5 1.0 -1.3
H -0.027376 -2.299509 -0.527420 0.0 0.5 0.2
H -0.478492 -0.834433 -2.487155 0.1 0.5 -0.4
H -0.651182 1.196291 -0.112384 0.3 -0.5 0.4
H -1.878787 2.522810 -1.828711 0.4 0.2 0.3
H -1.400283 1.476618 -3.092433 0.2 -0.4 0.4
H -0.160917 2.410571 -2.368063 0.0 0.3 0.4
H 0.961013 -0.182426 1.878487 0.6 -0.5 -0.1
H 1.621755 1.032579 2.298013 0.8 -0.1 0.1
O 1.872026 0.121558 2.065567 -1.4 1.0 0.6
H -2.078145 0.620905 2.532343 -0.8 -0.1 -0.1
H -2.269181 -0.871074 1.928007 -0.6 0.4 0.1
O -1.672805 -0.184376 2.224159 1.5 -0.2 0.0
```
Positions in Å, forces in eV/Å.

[2]
C5H12O2 | wB97M-V/def2-TZVPD

## Properties
Gap between HOMO and LUMO = 9.7200 eV
E_LUMO = 0.82 eV

The geometry in XYZ format:
```
19
Properties=species:S:1:pos:R:3:forces:R:3
C 0.444812 -2.630016 -0.033496 -0.6 0.6 0.0
C 0.444915 -1.322417 -0.784452 1.6 -0.7 0.0
C 1.136099 -0.225580 -0.480448 -0.8 0.8 -0.1
C 1.443958 0.801474 -1.482230 0.7 0.0 0.0
C 1.747720 0.575544 -2.757473 0.3 0.3 0.2
H 0.695005 -3.364014 -0.788380 -0.1 -0.5 0.0
H 1.199536 -2.695432 0.741925 0.0 0.2 0.2
H -0.533669 -2.850866 0.396664 0.0 -0.2 -0.1
H 0.220546 -1.425300 -1.833319 -0.6 0.1 -0.3
H 1.364134 0.074664 0.532042 0.4 -0.5 0.3
H 1.677273 1.808627 -1.147874 -0.6 0.1 0.2
H 2.036474 1.446065 -3.329661 0.0 -0.2 -0.4
H 1.858963 -0.408343 -3.192804 -0.3 0.0 -0.1
H -1.315479 0.794491 1.491326 0.1 -0.2 0.0
H -0.760706 1.011807 0.086546 -0.4 -0.1 0.1
O -1.583134 1.048569 0.602076 0.2 0.2 0.0
H -2.487207 1.788884 2.681084 -0.2 0.1 0.2
H -2.847783 1.788778 4.179479 -0.1 0.1 0.0
O -2.362520 1.306759 3.508153 0.2 -0.1 -0.3
```
Positions in Å, forces in eV/Å.

[3]
C5H12O2 | wB97M-V/def2-TZVPD

## Properties
Gap between HOMO and LUMO = 10.9472 eV
E_LUMO = 0.97 eV

The geometry in XYZ format:
```
19
Properties=species:S:1:pos:R:3:forces:R:3
C 2.503022 -0.562000 0.631566 0.0 0.0 0.0
C 1.557402 0.077257 -0.384102 0.0 0.0 0.0
C 0.106642 -0.245133 -0.028436 0.0 -0.1 -0.1
O -0.170645 0.167077 1.318726 0.0 0.2 0.0
C -0.961091 0.305304 -0.972166 0.0 0.0 0.0
C -2.363564 0.014240 -0.425514 0.0 -0.2 -0.4
O -2.727699 0.856495 0.650180 0.0 -0.1 0.2
H 3.552326 -0.328386 0.429972 -0.1 0.0 0.0
H 2.253411 -0.218981 1.639368 0.1 -0.1 -0.1
H 2.389681 -1.652927 0.622084 0.1 0.1 0.0
H 1.778482 -0.282613 -1.397907 -0.1 0.0 0.1
H 1.695506 1.168809 -0.405430 -0.1 -0.1 0.0
H 0.002205 -1.338367 -0.002184 0.0 0.1 0.1
H -0.193568 1.135342 1.309579 0.1 -0.1 0.1
H -0.848538 -0.149847 -1.965631 0.0 0.0 0.2
H -0.846060 1.391459 -1.102345 0.0 -0.1 0.1
Here the page continues.

Solar fortnight beginning:

Saturday May 21st 2005 07.22

Hour Day Month Year
earth wood metal wood
gay yute sun yute
muw jee jee yuw
rabbit snake snake rooster

Siu Mun: Grain Filling

A typically poetic description of the time of year. My sunflowers are shooting up but they frankly need a bit more sun before they flower. The experiment with globe artichokes hangs in the balance.

Attached: data records >
+++
Below is a structure of composition C26H52Cl2N3O5PbSi2 in a non-equilibrium geometry, with properties calculated with wB97M-V/def2-TZVPD.

Last column: Mulliken charge in e.
Atoms and positions in Å:
C: -1.53 -0.57 -3.92  -1.37
C: -1.11 -1.92 -3.45  0.67
H: -1.26 -0.42 -4.97  0.40
H: -1.09 0.24 -3.30  0.12
H: -2.63 -0.49 -3.82  0.27
C: -0.63 -2.95 -4.17  0.01
C: -0.49 -2.96 -5.64  -1.55
H: -0.35 -3.87 -3.65  0.35
H: -0.73 -2.00 -6.12  0.34
H: -1.14 -3.73 -6.07  0.31
H: 0.54 -3.24 -5.92  0.29
Pb: -0.17 0.03 -0.04  1.07
Cl: -0.32 2.20 -1.54  -0.71
C: -0.35 -2.52 1.64  0.05
O: 0.68 -1.97 1.17  -0.78
N: -0.11 -3.49 2.54  1.12
C: 1.27 -3.65 3.02  -1.06
C: -1.12 -4.47 2.84  -1.21
H: -1.45 -2.35 1.36  0.03
H: 1.89 -2.78 2.74  0.10
H: 1.68 -4.57 2.58  0.28
H: 1.23 -3.75 4.11  0.46
H: -2.05 -4.16 2.33  0.33
H: -1.26 -4.48 3.93  0.33
H: -0.78 -5.44 2.47  0.37
H: 0.78 2.94 4.72  0.37
H: -1.35 4.31 4.01  0.33
C: 1.13 3.03 3.68  -0.91
C: -0.93 4.36 3.00  -0.99
N: -0.06 3.25 2.83  0.57
H: 1.69 2.14 3.38  -0.07
C: -0.27 2.40 1.80  0.15
O: 0.74 1.69 1.55  -0.94
H: -1.72 4.28 2.25  0.25
H: -1.22 2.48 1.18  0.06
H: 1.75 3.92 3.58  0.47
H: -0.33 5.26 2.86  0.32
H: 1.42 -0.31 -3.77  0.10
H: 2.35 -2.66 -3.50  0.14
C: 2.23 0.09 -3.14  -0.64
C: 3.19 -2.20 -2.95  -0.79
N: 2.76 -0.98 -2.28  0.30
H: 1.86 0.92 -2.52  0.15
C: 2.65 -0.95 -0.95  0.08
O: 2.17 0.03 -0.33  -0.64
H: 3.57 -2.90 -2.19  0.29
H: 2.97 -1.87 -0.42  0.26
H: 3.05 0.43 -3.79  0.35
H: 3.99 -1.95 -3.66  0.32
O: 0.03 -1.53 -1.64  -0.44
C: -1.19 -2.08 -1.96  -0.38
C: 0.10 -4.05 -1.00  0.28
C: -1.13 -3.47 -1.35  -0.01
H: 1.02 -3.47 -1.08  0.15
C: 0.10 -5.37 -0.55  -0.69
H: -2.10 -1.55 -1.57  0.59
C: -2.33 -4.15 -1.22  -0.24
H: 1.05 -5.84 -0.29  0.39
C: -1.11 -6.08 -0.44  -0.60
C: -2.32 -5.46 -0.77  -0.67
H: -3.25 -3.63 -1.50  0.43
H: -1.10 -7.11 -0.09  0.36
H: -3.26 -5.99 -0.67  0.35
Si: -0.43 6.67 -3.43  0.51
Cl: -0.72 5.97 -5.35  -0.35
C: 1.40 6.51 -3.04  -0.89
C: -1.47 5.61 -2.29  -0.49
C: -0.98 8.47 -3.40  -0.93
H: 1.72 5.46 -3.11  0.27
H: 1.61 6.88 -2.03  0.31
H: 2.00 7.11 -3.75  0.27
H: -0.39 9.07 -4.11  0.26
H: -0.85 8.89 -2.39  0.32
H: -2.04 8.55 -3.68  0.25
H: -1.16 4.56 -2.35  -0.03
H: -2.53 5.68 -2.56  0.28
H: -1.36 5.95 -1.25  0.24
C: -1.37 1.15 4.59  -1.12
Si: -0.03 -0.01 4.07  0.61
C: 1.69 -0.18 4.63  -1.23
C: -0.94 -1.51 4.59  -1.23
O: -0.31 0.05 2.52  -0.04
H: -1.43 0.88 5.64  0.48
H: -2.30 0.87 4.09  0.20
H: -1.22 2.22 4.51  0.18
H: 1.51 -0.28 5.71  0.37
H: 2.16 -1.10 4.28  0.26
H: 2.39 0.64 4.49  0.42
H: -1.89 -1.63 4.08  0.14
H: -0.32 -2.40 4.55  0.08
H: -1.11 -1.26 5.64  0.65

Spin multiplicity   1
HOMO-LUMO gap   6.4924 eV
Net charge   -1
Energy above the lowest of the compared OMol25 structures with the same formula, charge and spin   72.0 kcal/mol



Below is a cluster of 2 separate species, C3H9FNO in total in a non-equilibrium geometry, with properties calculated with wB97M-V/def2-TZVPD.

Last column: Mulliken charge in e.
Atoms and positions in Å:
C: 2.05 -0.76 1.32  -0.67
+++

The sun enters Gemini today. The Chinese solar fortnights illustrate the correspondence between the Chinese Calendar and Western astrology. The Snake month jee lasts from 5th May to 5th June. At its midpoint today, the sun arrives in Gemini which itself finishes on the 22nd June, the midpoint of ng the Horse at the summer solstice. Which allows anyone interested who didn’t know this, to map the Western Zodiac onto the Chinese animals. QED.

The Princess and the Pea.

Frances Hodgson Burnett wrote that every girl is a princess. And if I were to forget I have teenage daughters to remind me.

I was in Paula’s house doing a follow-up survey. There had been huge leaps in her social life since my first visit but relationship remained the big question. A successful career woman in her mid-30’s, very attractive, certain to make a lot of money, she wanted Mr Right. Right Now!

All in a days’ work.

I corrected a water-feature here, inched a Buddah across the floor there, moved her bed a couple of centimetres to pick up relationship energy. Placed a tiny hand mirror as a temporary solution to a glitch. Everything now in place.

As we sat down with a cup of tea to debrief, the doorbell rang. A bouquet of flowers from an admirer. Fantastic, I thought, hard to argue with that. She read the card: “It’s that bloke from down the road. Wants a date.” Then she frowned: “ I always get attention from the ones I’m not interested in.”

What do you do?

Her house as it happens is not right for her longterm. I can do all sorts of things to support her for the time being but I could do a lot more in a house that was configured right. So I gave her a checklist of how the right house would be configured which can be done for anyone given their exact moment of birth.

Obligatory Spooky Stuff

Zelda’s house had been built for a surgeon in the 1950’s. He had died since but appeared still to be there.The estate had housed doctors from the nearby hospital and the orientation implied Master Masons. Many top doctors are reputed to be freemasons, I understand.

She had been told she might find a body under the extension! But the energy I found there was not wicked. It was self-righteous in a very male way, reluctant to admit errors so as to learn from them. But it was not evil. We don’t on the other hand, I remarked, generally want our surgeons learning by trial and error. He was still there it seemed because he would not admit some sort of major blunder. I did not want to speculate as to what. Without admitting the blunder he could not move on. But neither could Zelda. Every prospective purchaser backed out for some reason.

I suggested to him that everybody makes mistakes; wisdom starts with the realisation that we are ignorant. Live, dead, hanging on, it’s the same principle. So move on already.


Virginia had benefitted from distance healing sent by my friend Nikki which had cleared ancient stuff from her flat after we had made all sorts of changes leading among other things to regular sleep for the first time in years. At the heart of the process was a conversation in which she got that feng shui, visualisation, reiki, Goddess workshops, what have you, were all irrelevant if she did not make a choice to change her life. Receiving this information took a great deal of courage and humility.

So after a decade of time out her life is moving. But she has got used to distractions. She’s a very talented woman who is just terrified of pursuing her purpose which is quite high profile. So I was unsurprised that a series of dramas happened around her as the energy was freed, culminating in a ludicrous farce involving a car chase around North Wales and the ill-tempered eviction of a reluctant gay couple from her mother’s flat stopping just short of slap-fighting!

I explained these were distractions, ways of not moving forward. The path was now clear. She could fly. As the distractions arise – minor illnesses, car breaking down – she has to deal with them appropriately but see them for what they are.

This week she had a bug and asked for more distance healing. I told her no more feng shui, no more distance healing yet. Feel it all the way through. As we do this the distractions run out and we can move on.

The danger of any model, any method, is that we can get attached. Any model taken too literally leads to dependance. People will often queue round the block to be disempowered and run like hell when offered their own power back! Funny old game.

Cycles of Change II

As noted last fortnight, this month’s combination of stem (sun) and branch (jee the Snake) is the same as for the year 2001 and therefore may contain “echoes” of 2001. I have received quite a bit of response to this idea. So let’s take it a bit further

Q: What links the years 61AD & 1381? Both sun yuw years – metal Roosters?

A: The Peasants Revolt and the Budiccan Revolt both arising from similar issues and

taking place in much the same geographical area.

History is peppered with these similarities. I’ll look out more but I can’t pass on without mentioning Ian Wallace’s proposal that Tottenham Hotspur always prosper when there is yin metal in the year pillar. 1961 and 1971 for instance. Check it out.

Ending Hunger

I received an email from Natalie Imbruglia this week. When I saw the sender’s name I assumed that opening it would bring me either a virus, a compromising photo or the usual help with my physique. But it was genuine. On behalf of makepovertyhistory she was inviting me to take various sorts of action. They are focussing on the G8 summit in the first week of July. I think however that it is much more urgent for reasons I will happily outline in one-to-one correspondence. If you feel called, here is the web address.


Any feedback is always welcome including that you never want to hear from me again if that happens to be the case.

Best wishes,

Richard Ashworth


If Poverty is to be History now is the time.

As ever, names have been changed to protect privacy.

29, Portsmouth Road, Godalming, Surrey, GU7 2JU | tel: 01483 428998 | info@imperialfengshui.info

Corporate and Media Contact: Peter Dunne. Tel. 07768 617330 peter@peterdunne.com

© Richard Ashworth 2025